Example #1
def main():
        met_dept_api_url = "http://www.haze.gov.sg/haze-updates/historical-psi-readings/" 
        while True:
            current_url_date = get_date() #gets the first date unprocessed in the db
            data_list = []
            webpage_html = get_html (met_dept_api_url, current_url_date) #gets the webpage of the url in url_list
            if (webpage_html == None):
Data records from another source follow.
- - -
Here is C31H22N5O6Ti as an isolated structure from the Open Molecules 2025 dataset. Energies are from wB97M-V/def2-TZVPD.

Each line ends with the Mulliken spin population.
Atoms and positions in Å:
1 C -3.87559 -2.01472 0.67808  -0.002
2 H 1.87171 2.52679 -1.10693  -0.002
3 C 3.07870 -1.96620 -0.12152  0.022
4 N 0.76207 0.95009 -1.84446  -0.005
5 O 2.62026 2.41152 1.75935  0.000
6 C -2.90316 2.20316 0.67885  0.017
7 C -4.68784 -2.68158 -0.22759  -0.001
8 C 2.26908 1.11240 -4.15083  0.010
9 C -2.44319 2.34605 -2.06289  0.000
10 C 2.08164 1.46715 1.23248  0.002
11 C 1.26507 0.16730 -4.04046  -0.005
12 C -2.70671 -1.39013 0.24484  0.014
13 C 2.87573 0.26769 0.77194  -0.009
14 H -0.69453 3.49322 -1.55449  0.004
15 N 5.30222 -2.92149 -0.57145  0.000
16 H 0.04539 1.08132 6.21957  0.000
17 H -3.07799 2.13187 1.74507  0.001
18 H -1.10225 3.36949 0.88738  0.003
19 C -2.02974 -0.49238 2.38224  0.006
20 H -5.59102 -3.15989 0.12911  0.000
21 C 1.34451 0.03225 4.86765  0.000
22 C 0.53020 0.12315 -2.86737  0.052
23 N -1.17848 -0.78003 -1.47858  -0.006
24 O -3.13576 -0.42800 2.90249  -0.001
25 N -1.76510 -0.73805 1.06724  0.006
26 H 1.02552 -0.53585 -4.82469  0.000
27 O 4.74164 -3.90994 -0.99708  0.000
28 C 4.45215 -1.80629 -0.09487  0.001
29 C 2.29246 -0.91163 0.31955  0.036
30 C -0.60452 -0.86494 -2.70164  -0.010
31 H -4.64179 1.05830 0.17413  -0.001
32 H 4.69650 1.30485 1.15823  0.000
33 C 4.26387 0.38373 0.79356  -0.001
34 H 2.64129 -2.88852 -0.47200  0.001
35 C -1.55119 2.94811 -1.17878  -0.005
36 O 6.50585 -2.77938 -0.49636  0.000
37 C -1.77777 2.87798 0.19815  0.012
38 C -2.36230 -1.46671 -1.12171  0.004
39 C -3.55821 1.67809 -1.57561  0.003
40 H 1.21864 -1.09705 0.32319  -0.035
41 C -0.81290 -0.27069 3.25076  -0.007
42 H 3.26856 2.74239 -3.14246  0.000
43 H -2.26021 2.39063 -3.12879  -0.001
44 H 2.23251 0.12494 5.47670  0.000
45 Ti -0.49891 0.47722 -0.02980  0.852
46 H 2.33719 -1.04776 3.29604  0.000
47 H -1.95392 0.75946 4.73301  0.000
48 C -3.19065 -2.12968 -2.02219  -0.009
49 H -2.90790 -2.18056 -3.06046  0.001
50 C -0.97477 0.39394 4.45958  0.000
51 C 1.40228 -0.62336 3.64667  0.002
52 C 0.12983 0.55733 5.27645  0.000
53 H 2.86717 1.17352 -5.05025  0.001
54 O -0.88691 -1.58912 -3.64209  0.006
55 H -4.23959 1.19147 -2.26068  0.000
56 N 0.35341 -0.76853 2.84268  0.003
57 C -3.79066 1.60648 -0.20618  0.002
58 C 1.72527 1.86996 -1.95529  0.033
59 H -4.99546 -3.24888 -2.27520  0.000
60 C 5.06870 -0.65396 0.35698  0.001
61 H -4.15278 -1.96351 1.71755  0.001
62 C -4.35590 -2.73329 -1.57095  0.003
63 C 2.49983 1.98459 -3.09478  -0.005
64 H 6.14543 -0.58311 0.36187  0.000
65 O 0.79303 1.41878 0.97705  0.007

Properties
E_tot (eV): -75356.433
Relative energy (zero: lowest compared OMol25 entry of this formula, charge and spin) (eV): 0.875
Multiplicity: 2
HOMO-LUMO gap (alpha / beta) (hartree): 0.248 / 0.249

Here is a 2-piece molecular cluster, C2H6N2OS overall from the Open Molecules 2025 dataset. Energies are from wB97M-V/def2-TZVPD.
- - -
                print "There was an error getting the html files, retrying in 1 minute"
            else: #successfully got the html of the url
                data_list = get_datalist(webpage_html, current_url_date)
                print "Great Stuff--writing this to the DB"
                write_list_to_db(data_list,current_url_date) #this marks the date as processed in the db
                print "Done"
Example #2
def main():
Next to the text, the page also holds data records.
~~~
Entry from the Open Molecules 2025 dataset: a structure of composition C39H41CdNO2P2 in a non-equilibrium geometry (the ωB97M-V functional and the def2-TZVPD basis).

Atoms and positions in Å:
Cd  -0.757  1.770  -2.202
P  -1.658  -1.048  1.322
P  2.308  -0.179  1.274
O  -1.050  1.973  2.314
O  -0.734  -2.028  4.149
N  -1.569  -0.260  2.867
C  -4.139  0.030  0.900
C  0.791  2.334  -3.644
C  3.737  -2.552  1.580
C  2.904  3.814  0.685
C  3.451  1.421  -0.663
C  3.543  3.838  -0.560
C  -3.647  -4.562  2.156
C  6.143  -2.787  1.364
C  -3.959  -5.013  0.871
C  5.112  -0.616  1.046
C  3.814  2.642  -1.235
C  -2.697  -3.171  -0.072
C  6.250  -1.426  1.069
C  0.669  -0.157  -4.262
C  -4.939  1.169  0.737
C  -1.846  0.270  -3.713
C  3.843  -1.187  1.256
C  2.496  2.602  1.246
C  -2.439  -2.669  1.223
C  -1.852  1.587  -4.155
C  -3.135  2.313  -0.441
C  -2.500  1.034  -0.569
C  2.045  0.078  3.026
C  0.987  0.983  -3.305
C  -2.888  -3.402  2.333
C  -1.041  1.994  -5.386
C  -0.222  -0.809  0.326
C  0.309  2.649  -5.057
C  -1.508  1.148  3.085
C  -1.261  -0.929  4.082
C  2.754  1.401  0.562
C  4.889  -3.341  1.636
C  -1.938  1.347  4.513
C  -1.584  0.036  5.202
C  1.085  -1.183  0.492
C  -4.393  2.344  0.180
C  -0.782  -0.705  -4.173
C  -2.804  0.076  0.492
C  -3.477  -4.313  -0.242
H  1.264  0.834  3.171
H  -3.032  1.492  4.548
H  -2.693  2.257  -3.923
H  1.340  3.145  -3.140
H  -3.709  -4.672  -1.246
H  3.003  0.399  3.459
H  1.744  -0.884  3.461
H  -5.962  1.147  1.106
H  3.818  4.791  -1.014
H  7.214  -0.975  0.846
H  2.703  4.742  1.225
H  1.985  2.571  2.211
H  1.487  -2.016  -0.111
H  -2.613  0.542  -1.560
H  -4.564  -0.862  1.365
H  -3.977  -5.110  3.041
H  4.317  2.655  -2.204
H  -2.621  -3.072  3.336
H  -2.433  -0.371  5.774
H  3.735  0.484  -1.156
H  7.036  -3.408  1.382
H  1.712  0.725  -2.524
H  -0.520  -0.451  -0.688
H  -2.660  3.225  -0.845
H  4.798  -4.395  1.884
H  -4.554  -5.921  0.743
H  0.161  3.736  -5.179
H  0.904  0.112  -5.304
H  -1.039  -1.177  -5.138
H  -1.463  2.232  4.948
H  5.207  0.456  0.840
H  1.073  2.348  -5.798
H  -1.664  2.706  -5.956
H  -0.739  0.139  5.897
H  -0.890  1.139  -6.059
H  -0.775  -1.545  -3.461
H  2.754  -2.993  1.779
H  -2.297  -2.654  -0.946
H  1.355  -0.986  -4.001
H  -2.774  -0.187  -3.329
H  -4.941  3.287  0.258

Cartesian forces (eV/Å) of the 6 atoms listed first:
Cd -1.1 0.1 3.6
P 3.0 2.4 -4.9
P -1.0 -3.2 -1.8
O -1.1 -1.3 1.2
O -1.0 1.2 0.0
N 0.0 -1.8 1.1

Its LUMO energy (spin up / spin down) is -0.23 / 0.08 eV.

These are the Löwdin partial charges, in e, on atoms 1 to 6: Cd 1.36; P 1.02; P 0.92; O 0.10; O 0.07; N -0.02



Entry from the Open Molecules 2025 dataset: a cluster of 10 separate species, C40H50N10 in total in a non-equilibrium geometry (the ωB97M-V functional and the def2-TZVPD basis).

Atoms and positions in Å:
N  -3.900  -31.674  28.553
N  -7.462  -29.511  25.008
N  -4.643  -32.079  35.962
N  -11.178  -29.840  33.851
N  -3.709  -28.687  29.920
N  -2.841  -37.169  30.283
~~~
        met_dept_api_url_list = create_url_list() #get the url_list (refer to html_operations.py for the hardcoded values)
        while True:
            current_url_date = get_date() #looks for a data assigned to this process id, repeats every 2 seconds till there is an assignment
            data_list = []
            webpage_htmls = get_html (met_dept_api_url_list, current_url_date) #gets the webpage of the url in url_list          

            if (webpage_htmls == None):
                print "There was an error getting the html files, retrying in 1 minute"
            else: #successfully got the html of the 4 urls
                for html_output in webpage_htmls:
                    html_datalist = get_datalist(html_output, current_url_date)
                    data_list = data_list + html_datalist
                print "Great Stuff--writing this to the DB"
Example #3
def get_api_readings():
        met_dept_api_url = "http://www.haze.gov.sg/haze-updates/historical-psi-readings/" 
        while True:
            current_url_date = get_date() #gets the first date unprocessed in the db
• What comes next are quantum chemistry results, not part of the entry:
........
(1)
Here is a 2-piece molecular cluster, C14H18Cl2FN2O3S overall in a non-equilibrium geometry from the OMol25 dataset. Energies are from ωB97M-V/def2-TZVPD.

```
41
Properties=species:S:1:pos:R:3:nbo_charge:R:1
C -1.46027 3.19069 -1.12278 -0.315
C -0.59466 1.94948 -1.01299 -0.315
C -1.38065 0.52002 -1.32003 0.236
C -2.00125 -0.23028 -0.03876 0.051
C -1.92002 0.24970 1.52096 -0.483
C -1.82396 -0.96601 2.62123 -0.424
C -1.64480 -0.27223 4.13152 -0.525
S 0.05983 0.52656 4.34681 -0.118
C -2.71250 -1.60357 -0.53654 0.434
F -3.36288 -2.58381 0.36544 -0.300
C -2.67282 -1.84217 -2.11404 -0.040
N -2.07043 -1.06457 -3.19448 -0.113
N -1.47069 0.02266 -2.68187 -0.142
C -0.76328 0.86542 -3.76931 -0.334
C 0.89375 0.63176 -3.74520 0.767
O 1.71521 1.47269 -4.38032 -0.496
O 1.33418 -0.53761 -2.92650 -0.568
C 2.79168 -0.71877 -2.99823 0.782
C 3.62763 -0.67899 -1.55967 -0.735
O 3.51598 -0.95921 -4.09386 -0.488
H -2.41014 3.16186 -1.82361 0.227
H -1.21600 4.14495 -0.49113 0.260
H 0.54598 1.98439 -0.73195 0.285
H -0.91960 0.88622 1.63672 0.273
H -2.81697 0.99976 1.73840 0.273
H -2.88098 -1.51657 2.66746 0.244
H -0.96323 -1.73797 2.42320 0.242
H -2.44280 0.59591 4.29667 0.231
H -1.74496 -1.13373 4.93936 0.246
H 0.06413 1.29617 5.54179 0.179
H -3.23028 -2.83186 -2.48875 0.278
H -1.07491 0.49814 -4.86341 0.306
H -1.06588 1.99714 -3.73910 0.293
H 3.15281 -1.41791 -0.75088 0.242
H 3.65399 0.38913 -1.08225 0.254
H 4.73060 -1.09886 -1.73933 0.279
C 3.76725 -0.94043 3.48680 -0.394
Cl 3.66758 -1.11596 1.73054 -0.045
Cl 3.11796 0.61893 4.00807 -0.008
H 3.19137 -1.74099 3.95752 0.228
H 4.81401 -1.01011 3.79247 0.235
```

Calculated values
HOMO: -11.62 eV
Total charge: +1
HOMO-LUMO gap: 6.33 eV

***

(2)
Here is C24H27ClN4NiSSe as an isolated structure in a non-equilibrium geometry from the OMol25 dataset. Energies are from ωB97M-V/def2-TZVPD.

```
59
Properties=species:S:1:pos:R:3:nbo_charge:R:1
Ni -0.69097 1.21373 -0.67574 0.810
C 1.21933 4.97873 0.43416 -0.688
C 0.83373 3.65723 -0.16294 0.236
N -0.39127 3.35223 -0.46684 -0.263
N -1.39557 4.24573 -0.35734 -0.441
C -2.46987 4.17453 -1.19004 0.269
N -3.46057 5.07343 -0.96454 -0.786
S -2.56367 3.07583 -2.41754 -0.189
C 1.80893 2.63803 -0.51524 0.170
C 3.11893 2.59113 -0.03244 -0.218
C 3.95993 1.57993 -0.45344 -0.146
C 3.48813 0.65613 -1.38004 -0.232
C 2.17263 0.75283 -1.79724 0.083
N 1.33063 1.67683 -1.35134 -0.472
H 0.75773 5.10013 1.41526 0.234
H 0.88803 5.79593 -0.21294 0.234
H 2.29263 5.06643 0.55196 0.240
H -1.29317 5.06123 0.24156 0.376
H -3.33357 5.85953 -0.34594 0.385
H -4.17997 5.14113 -1.66424 0.424
H 3.46713 3.31203 0.69126 0.220
H 4.96493 1.50083 -0.06484 0.225
H 4.12793 -0.12467 -1.75854 0.233
H 1.77103 0.05193 -2.51744 0.214
Cl -4.24187 -4.56847 2.01106 -0.016
C -3.76787 -2.99277 1.46866 -0.059
C -3.19867 -2.09867 2.36606 -0.222
C -2.82267 -0.84877 1.93196 -0.219
C -3.01837 -0.44227 0.59666 0.054
C -2.64317 0.86213 0.12936 -0.677
C -3.60487 -1.37787 -0.27954 -0.237
C -3.97617 -2.63247 0.14506 -0.242
........
• Back to the entry:
            logging.info ("Getting data for %s" % current_url_date)
            data_list = []
            webpage_html = get_html (met_dept_api_url, current_url_date) #gets the webpage of the url in url_list
            if (webpage_html == None):
                logging.info ("There was an error getting the html files, retrying in 30 seconds")
                print ("Retrying in 30 seconds")
            else: #successfully got the html of the url
                data_list = get_datalist(webpage_html, current_url_date)
                logging.info  ("Great Stuff--writing this to the DB")
                write_list_to_db(data_list,current_url_date) #this marks the date as processed in the db
                logging.info  ("Done")